Bragging Rights & The Future of Flight
Here in Wisconsin, a swing state, we have been incessantly pummeled by political ads of both parties. This onslaught has been painfully punctuated almost daily by political surveys whose questions do little more than support the delusions of the person who paid for it. Add two weeks of intellectual drown proofing in the tsunami of lies and half-truths taken out of context that emanated from the thankfully ended conventions, and it’s hard to have a good mental outlook about anything, let alone aviation.
Try as I might, I could not escape the tentacles of cynical aviation apathy, the feeling that there was no place in aviation for people like me. This metaphysical predator ambushed me in, of all places, the travel section of the New York Times. The headline says it all: Space Tourism is Here! Wealthy Adventurers Wanted.
Reading about all the ways rich people can get into space was interesting. Yes, there’s some training involved, but in the article it seemed secondary to wining and dining with their economic peers at something akin to an aerospace spa. In the end, what matters more than acquiring a skill is the bragging rights, which is what they are really paying for.
What pulled me under was the realization that, for the most part, rich people don’t invest the time and effort needed to truly accomplish something hard, like climbing Mount Everest or flying a plane. They hire someone to take them there by the hand or in the back seat. This confirmed a dark notion that’s been lurking in my subconscious, unless we revive the middle class and restore the economic vigor it exercised three or four decades ago, general aviation as we’ve known it is doomed.
As commenters have mentioned many times here in JetWhine, GA flying is too expensive. That’s one way of looking at things.
Another perspective is that the cost of flying has increased like everything else in life—except middle class incomes. Those have been essentially stagnant since the late 1970s, when the middle class stopped thinking things through and bought into the trickle down delusions that have made rich people exponentially wealthier.
Maybe it was fate, but after reading the Times travel article I stopped by my favorite (and most literate) blog, The Rumpus, which says, “Inconsistency is human, but try to be nice.” In The Week in Greed #13: The Speech Obama Didn’t Give, Steve Almond outlined a workable plan for restoring the middle class. Not that it will ever happen, mind you, but it was nice to dream for a second.
But you never know. Maybe there’s enough residual critical thinking among us to ask not if we’re better off now than we were four years ago, but whether we are better off today than we were 30 or 40 years ago. Back than I was in the Navy, before it went all-volunteer and started paying real money—and before the trickle-down delusion started siphoning off its purchasing power. Back then I could afford to fly. Now it’s still a dream that will probably never be realized again.
### Records of crystals that have nothing to do with the entry
Entry 1:
The following is a DFT calculation (PBE with a Hubbard U) of crystalline Li7Mn4CoO12 at its relaxed geometry.

Cell: 5.0368 5.2198 8.7389 Å, 74.79 85.55 78.67°
With the nearest neighbours (Å) after each atom.
Space group P1 (No. 1)
Symmetry-distinct sites (fractional):
Li  0.0000  0.0000  0.0000 (multiplicity 1)  4 O 1.99-2.17
Li  0.0017  0.3361  0.6512 (multiplicity 1)  6 O 2.07-2.22
Li  0.0069  0.6694  0.3335 (multiplicity 1)  6 O 2.06-2.20
Li  0.2485  0.0862  0.4117 (multiplicity 1)  6 O 2.06-2.21
Li  0.4908  0.8351  0.1714 (multiplicity 1)  6 O 2.09-2.23
Li  0.4965  0.5033  0.4908 (multiplicity 1)  4 O 2.02-2.16
Li  0.4997  0.1678  0.8257 (multiplicity 1)  6 O 2.04-2.18
Mn  0.2516  0.4064  0.0874 (multiplicity 1)  5 O 1.94-2.12
Mn  0.2522  0.7617  0.7384 (multiplicity 1)  6 O 1.91-2.06
Mn  0.7471  0.5872  0.9099 (multiplicity 1)  4 O 1.95-1.99
Mn  0.7534  0.2397  0.2537 (multiplicity 1)  6 O 1.89-2.07
Co  0.7593  0.9333  0.5722 (multiplicity 1)  5 O 1.91-2.05
O  0.0996  0.0511  0.2048 (multiplicity 1)  2 Mn 1.90-2.12, 3 Li 1.99-2.11
O  0.1129  0.7148  0.5524 (multiplicity 1)  1 Mn 1.91, 1 Co 1.94, 3 Li 2.11-2.13
O  0.1227  0.4175  0.8699 (multiplicity 1)  3 Mn 1.97-2.06, 1 Li 2.15
O  0.3843  0.7879  0.9389 (multiplicity 1)  2 Mn 1.95-1.97, 2 Li 2.14
O  0.3867  0.0798  0.6284 (multiplicity 1)  1 Mn 1.91, 1 Co 1.96, 2 Li 2.04-2.06
O  0.3918  0.4565  0.2758 (multiplicity 1)  2 Mn 1.94-1.97, 3 Li 2.08-2.13
O  0.6080  0.5516  0.7139 (multiplicity 1)  2 Mn 1.94-1.97, 2 Li 2.14-2.16
O  0.6126  0.2087  0.0531 (multiplicity 1)  2 Mn 1.95-2.00, 3 Li 2.12-2.18
O  0.6469  0.9127  0.3723 (multiplicity 1)  1 Mn 1.90, 1 Co 1.91, 2 Li 2.06-2.08
O  0.8602  0.2919  0.4447 (multiplicity 1)  1 Mn 1.89, 3 Li 2.02-2.08, 1 Co 2.05
O  0.8751  0.5890  0.1198 (multiplicity 1)  3 Mn 1.98-2.07, 2 Li 2.19
O  0.8951  0.9584  0.7730 (multiplicity 1)  1 Mn 1.93, 1 Co 1.98, 2 Li 2.13-2.15

Results
Spin magnetization   0.5833 μB/atom
E_tot   -6.2216 eV per atom
Offset from the most stable computed form   0.644 eV per formula unit

=====

Entry 2:
The following is a DFT calculation (PBE with a Hubbard U) of crystalline Li7Mn2Co3O12 at its relaxed geometry.

Cell: 8.2829 2.9131 9.8041 Å, 90.00 114.40 90.00°
With the nearest neighbours (Å) after each atom.
Space group Pm (No. 6)
Symmetry-distinct sites (fractional):
Li  0.0000  0.0000  0.0000 (multiplicity 1)  6 O 2.08-2.14
Li  0.0081  0.5000  0.4986 (multiplicity 1)  6 O 2.10-2.22
Li  0.1653  0.0000  0.3290 (multiplicity 1)  6 O 2.00-2.23
Li  0.3174  0.5000  0.1662 (multiplicity 1)  5 O 2.02-2.20
Li  0.5046  0.0000  0.9937 (multiplicity 1)  4 O 2.00-2.09
Li  0.6915  0.5000  0.8429 (multiplicity 1)  6 O 2.10-2.32
Li  0.8445  0.0000  0.6869 (multiplicity 1)  4 O 1.98-2.13
Mn  0.1637  0.5000  0.8388 (multiplicity 1)  6 O 1.83-2.04
Mn  0.6705  0.0000  0.3320 (multiplicity 1)  6 O 1.91-1.97
Co  0.3466  0.0000  0.6739 (multiplicity 1)  6 O 2.01-2.08
Co  0.4993  0.5000  0.5033 (multiplicity 1)  6 O 1.93-2.07
### The records of crystals stop here
So, if you’ll excuse me, I’m going to fix myself a nice drink and find a good mood in the pages of fiction of a better time past or some fantasy future where everyone enjoys equal responsibilities and benefits. — Scott
I have to strongly disagree with the statement that “for the most part, rich people don’t invest the time and effort needed to truly accomplish something hard, like climbing Mount Everest or flying a plane. They hire someone to take them there by the hand or in the back seat.”
At Gauntlet Warbirds we train people with diverse income brackets and all levels of net worth. There is absolutely no correlation between either of those measures and somebody’s work ethic or the energy they put into flight training.
Greg Morris
Chief Pilot
Gauntlet Warbirds
Greg, I won’t deny that your customers, regardless of their income, are dedicated to their aerial passion. But unless you have several thousand such students lined up at your hangar, they are the exception to my generalization, which I attempted to qualify with “for the most part.”
In the similar vein, the steadily declining number of active pilots stands a bit more than a half million, and compared to the entire US population, they are the exception to the rule as well. If I’ve done the math right, they are .oo1 percent of the population. That’s not even a rounding error.
What data are you using to come to your conclusion about “rich people”?
Your math is not correct regarding the active pilot population. 500,000 / 311,000,000 = .0016 or .16%. That is about half of the historical highest fraction of the population with active certificates, which we saw in 1980 with 800,000 active pilots, about .35% of the population.
Greg Morris
Good story. I imagine Virgin Galactic space flights to substantially decrease over the years. Just look at the costs of flying in the early days? It was reserved for the rich and famous. Now, anybody with a thousand bucks and a passport can can travel abroad! For what it’s worth, I have written a post at my blog about Virgin Galactic.
### The entry is interrupted by calculated crystals
-- begin --
Material: YSn2BiO7
Method: DFT, PBE
State: relaxed

ρ = 7.17 Mg/m³
symmetry = No. 74
total magnetization = 0.000 μB/atom
raw total energy = -6.85 eV per atom

Cell lengths 7.516, 7.516, 7.516 Å; angles 120.29, 119.84, 89.89 degrees
Element x y z (fractional)
Y 0.000 0.500 0.500
Y 0.500 0.500 0.000
Sn 0.500 0.000 0.000
Sn 0.500 0.500 0.500
Sn 0.500 0.000 0.500
Sn 0.000 0.000 0.000
Bi 0.000 0.500 0.000
Bi 0.000 0.000 0.500
O 0.866 0.616 0.250
O 0.134 0.384 0.750
O 0.834 0.084 0.750
O 0.413 0.663 0.750
O 0.836 0.664 0.745
O 0.419 0.091 0.755
O 0.836 0.091 0.172
-- stop --
### The calculated crystals stop here
I think the current trend to create a class warfare based upon income inequality is not helpful. I owned an aviation insurance agency for 30 years and insured a lot of very wealthy people, but for the most part you would not have known it.
They were passionate about flying whether as a pilot or an aircraft owner, and were willing to spend time, money and effort to insure a safe operation.
As for the declining pilot population, it is scary. When I go to the local airports around here in Michigan there is no activity where just a few years ago they were busy with enthusiastic student pilots. It seems the young have lost interest in the adventure of flying airplanes.